How do I know if my rat is happy?

How do I know if my rat is happy?

Domesticated rats have a longer lifespan than that of wild rats. Because domesticated rats are protected from predators and have ready access to food, water, shelter, and medical care, their average lifespan is around two to three years, in contrast to wild R. norvegicus which average a lifespan of less than one year.

Should you cover a rat cage at night?

Covering them can be a good thing, especially for shy rats (or territorial rats). covering the cage will sometimes make them less cage bond (aggressive only in the cage).

How do I get my rat to cuddle?

Rat babies are often fed two or three times a day, but by the time they are homed, this is usually down to once or twice a day.

Can rats learn their names?

Rats, although they do squeak from time to time, are very quiet animals. … Fancy or Pet rats not only can learn their names, they will come when called if taught to. Pet rats can also learn to do tricks and tasks. The more time you spend teaching or training your rattie, the more it will learn.

How do you tell if your rat loves you?

or chattering noise and usually means I'm happy or I love you when rats are especially happy they will boggle along with bruxing boggling. means that the rat is popping her eyes in and out and this is due to a muscle that goes from her jaw all the way through the back of her eye socket.

Should I get a male or female rat?

Both females and males make good pets. Female rats tend to be smaller and more active than males, running around and stealing paper to build nests. Males tend to make better lap pets. … And because rats are so social, it's best to get at least two of the same sex to live together.

Do rats recognize their owner?

Ask any rat owner, and he or she will tell you: Rats recognize their owners and respond to their sight and voice. They are very social and love to hang out with human family members on the couch or on peoples' shoulders or in their laps.

Can you potty train a rat?

Litter-box training is most effective with young rats, but even adult rats will eventually get the hang of it. A good cage cleaning is the first step. Empty the cage and set aside some of the dirty bedding. Wash the cage thoroughly, rinse it well and dry it completely.

Why rats are bad pets?

Rats can catch ringworm and staph infections from humans. They can also contract Bordetella (kennel cough) from dogs, which is almost always lethal to rats. Humans can get rat-bite fever and hantavirus from pet rats, both of which rarely arise as a problem within the rat fancy.

Do rats need baths?

Rats are very clean animals and usually do not require a bath at all, and even if they do get dirty most times a sponge bath or quick wipe off is all that is needed.

Do rats like to cuddle?

They will even try to groom their human companions as if these people were other rats in their “rat pack.” Pet rats love the warmth and contact of their caretakers and are actually very cuddly!

Can I have just one rat?

No, you should not get just one. Rats are like us because they thrive with companionship and are depressed without it. If you keep only one rat, it will likely become depressed and possibly aggressive. Keeping two rats is not any more expensive than taking care of one.

Do rats like music?

They can't see very well so sounds are stimulating for them. I think it should not be an issue, they may even really enjoy it. My rats don't care about music from the TV or radio but they love when I play my ukulele. … And yes in my experience they like music, or at least they don't get bothered by it.

How do you bond with rats?

In conclusion, there is no good reason to keep a single rat, but there are many reasons to keep rats in company. Many concerned breeders and good pet shops feel so strongly about this that they refuse to sell their rats to people who intend to keep them singly.

Can I keep pet rats in my bedroom?

No, don't keep them in bedroom. Rats make good pets because they're social and intelligent. … Rats are social creatures, so it's best to put them in the room where their owners congregate. Also, solitary rats can become a little loopy, so take two rats.

Do rats like light at night?

The myth of rats avoiding light comes from the fact that they are typically nocturnal, meaning they are active at night. As such, rats are used to being active when it is dark out and don't need extra light to be able to see. Even so, they will occasionally venture out during the day when it is light outside.

Are pet rats high maintenance?

This can have a negative impact on many high-maintenance animals. Thankfully, rats are very hardy pets.

How do you keep a single rat happy?

## Misplaced data records
- - -
A plane-wave DFT calculation with PBE-GGA was carried out for an optimized crystal structure of U2Si3Ni.

Structure (CIF):
```
data_U2Si3Ni
_chemical_formula_sum 'U2 Si3 Ni1'
_cell_length_a 3.8525
_cell_length_b 4.0049
_cell_length_c 6.8526
_cell_angle_alpha 90.00
_cell_angle_beta 90.00
_cell_angle_gamma 90.00
_space_group_name_H-M_alt 'P 1'
_space_group_IT_number 1
_space_group_name_Hall 'P 1'
loop_
_atom_site_label
_atom_site_type_symbol
_atom_site_fract_x
_atom_site_fract_y
_atom_site_fract_z
_atom_site_occupancy
Si1 Si 0.5000 0.0000 0.8347 1
Si2 Si 0.5000 0.0000 0.1746 1
Si3 Si 0.5000 0.5000 0.6588 1
Ni1 Ni 0.5000 0.5000 0.3317 1
U1 U 0.0000 0.5000 0.9994 1
U2 U 0.0000 0.0000 0.5008 1
```

- Space-group type: Pmm2, No. 25
- Formation energy from the elements: -35 kJ/mol of atoms


A plane-wave DFT calculation with PBE-GGA was carried out for an optimized crystal structure of CeS3.

Structure (CIF):
```
data_CeS3
_chemical_formula_sum 'Ce1 S3'
_cell_length_a 5.6667
_cell_length_b 5.6667
_cell_length_c 5.6667
_cell_angle_alpha 139.39
_cell_angle_beta 139.39
_cell_angle_gamma 58.78
_space_group_name_H-M_alt 'P 1'
_space_group_IT_number 1
_space_group_name_Hall 'P 1'
loop_
_atom_site_label
_atom_site_type_symbol
_atom_site_fract_x
_atom_site_fract_y
_atom_site_fract_z
_atom_site_occupancy
S1 S 0.5000 0.5000 0.0000 1
S2 S 0.2500 0.7500 0.5000 1
S3 S 0.7500 0.2500 0.5000 1
Ce1 Ce 0.0000 0.0000 0.0000 1
```

- Total energy after the MP2020 corrections: -23.65 eV/cell
- Space-group type: I4/mmm, No. 139
- Formation energy from the elements: -128 kJ/mol of atoms


- Among the records above, which one has the lowest formation energy from the elements?
  CeS3


- Look up the formation energy from the elements of the first one.
  -35 kJ/mol of atoms


Repeat the first record exactly.
A plane-wave DFT calculation with PBE-GGA was carried out for an optimized crystal structure of U2Si3Ni.

Structure (CIF):
```
data_U2Si3Ni
_chemical_formula_sum 'U2 Si3 Ni1'
_cell_length_a 3.8525
_cell_length_b 4.0049
_cell_length_c 6.8526
_cell_angle_alpha 90.00
_cell_angle_beta 90.00
_cell_angle_gamma 90.00
_space_group_name_H-M_alt 'P 1'
_space_group_IT_number 1
_space_group_name_Hall 'P 1'
loop_
_atom_site_label
_atom_site_type_symbol
_atom_site_fract_x
_atom_site_fract_y
_atom_site_fract_z
_atom_site_occupancy
Si1 Si 0.5000 0.0000 0.8347 1
Si2 Si 0.5000 0.0000 0.1746 1
Si3 Si 0.5000 0.5000 0.6588 1
Ni1 Ni 0.5000 0.5000 0.3317 1
U1 U 0.0000 0.5000 0.9994 1
U2 U 0.0000 0.0000 0.5008 1
```

- Space-group type: Pmm2, No. 25
- Formation energy from the elements: -35 kJ/mol of atoms


- Among the records above, which one has the lowest formation energy from the elements?
  CeS3

=====

1.
! KTaSi2O7, relaxed, DFT PBE; values from VASP
! space group = P4/mbm, No. 127
! ΔH_f (0 K) = -3.21 eV/atom
&SYSTEM
  ibrav = 0, nat = 44, ntyp = 4
/
ATOMIC_SPECIES
K 39.10 K.upf
Ta 180.95 Ta.upf
Si 28.09 Si.upf
O 16.00 O.upf
CELL_PARAMETERS angstrom
8.891 0.000 0.000
0.000 8.891 0.000
- - -

A rat's incisors will constantly grow throughout their lives so they need to be worn down on a daily basis. Dog chew snacks or parrot chew toys work well for rats too.

How do I know if my rat is dying?

A rat cage should be at least 50cm x 80cm floor space, by 50cm tall. … Rats also need a nest box where they can sleep and enjoy a bit of peace and quiet. A cardboard box with shredded paper bedding is ideal. They also enjoy a hammock hanging in their cage – this can easily be made from an old towel or similar material.

Are pet rats noisy at night?

- - -
# ZrTiPb2O6, optimized geometry, DFT GGA-PBE
data_ZrTiPb2O6
_chemical_formula_sum 'Zr3 Ti3 Pb6 O18'
_cell_length_a 5.7970
_cell_length_b 5.7970
_cell_length_c 14.4533
_cell_angle_alpha 90.00
_cell_angle_beta 90.00
_cell_angle_gamma 120.00
_symmetry_space_group_name_H-M 'R 3 m'
_symmetry_Int_Tables_number 160
_symmetry_space_group_name_Hall 'R 3 -2"'
loop_
_atom_site_label
_atom_site_type_symbol
_atom_site_fract_x
_atom_site_fract_y
_atom_site_fract_z
Zr1 Zr 0.0000 0.0000 0.0000
Ti1 Ti 0.0000 0.0000 0.4997
Pb1 Pb 0.0000 0.0000 0.2319
Pb2 Pb 0.0000 0.0000 0.7289
O1 O 0.0199 0.5100 0.2640
O2 O 0.1672 0.3344 0.1029
# - Energy above the most stable polymorph in this dataset: 14 meV/atom
# - Uncorrected energy: -231.4 eV for the cell shown
# - Mass density: 7.7 Mg/m³
# - Size of the total moment: 0.0 μB/cell


# ZrTiPb2O6, optimized geometry, DFT GGA-PBE
data_ZrTiPb2O6
_chemical_formula_sum 'Zr1 Ti1 Pb2 O6'
_cell_length_a 4.028
_cell_length_b 4.028
_cell_length_c 8.762
_cell_angle_alpha 90.00
_cell_angle_beta 90.00
_cell_angle_gamma 90.00
_symmetry_space_group_name_H-M 'P 4 m m'
_symmetry_Int_Tables_number 99
loop_
_symmetry_equiv_pos_as_xyz
'x,y,z'
'-y,x,z'
'-x,-y,z'
'y,-x,z'
'-x,y,z'
'y,x,z'
'x,-y,z'
'-y,-x,z'
loop_
_atom_site_label
_atom_site_type_symbol
_atom_site_fract_x
_atom_site_fract_y
_atom_site_fract_z
Zr1 Zr 0.000 0.000 0.000
Ti1 Ti 0.000 0.000 0.504
Pb1 Pb 0.500 0.500 0.242
Pb2 Pb 0.500 0.500 0.709
O1 O 0.000 0.000 0.303
O2 O 0.000 0.000 0.774
O3 O 0.000 0.500 0.062
O4 O 0.000 0.500 0.537
# - Energy above the most stable polymorph in this dataset: 17 meV/atom
# - Uncorrected energy: -77.1 eV for the cell shown
# - Mass density: 7.6 Mg/m³
# - Size of the total moment: 0.0 μB/cell


# ZrTi2Pb3O9, optimized geometry, DFT GGA-PBE
data_ZrTi2Pb3O9
_chemical_formula_sum 'Zr2 Ti4 Pb6 O18'
_cell_length_a 10.151
_cell_length_b 5.738
_cell_length_c 7.054
_cell_angle_alpha 90.00
_cell_angle_beta 90.72
_cell_angle_gamma 90.00
_symmetry_space_group_name_H-M 'C 1 m 1'
_symmetry_Int_Tables_number 8
loop_
_symmetry_equiv_pos_as_xyz
'x,y,z'
'x,-y,z'
'x+1/2,y+1/2,z'
'x+1/2,-y+1/2,z'
loop_
_atom_site_label
_atom_site_type_symbol
_atom_site_fract_x
_atom_site_fract_y
_atom_site_fract_z
Zr1 Zr 0.000 0.000 0.000
Ti1 Ti 0.171 0.500 0.665
Ti2 Ti 0.335 0.000 0.332
Pb1 Pb 0.028 0.000 0.494
Pb2 Pb 0.188 0.500 0.161
Pb3 Pb 0.357 0.000 0.808
O1 O 0.062 0.265 0.832
O2 O 0.151 0.000 0.193
O3 O 0.226 0.249 0.512
O4 O 0.308 0.500 0.845
O5 O 0.391 0.250 0.181
O6 O 0.474 0.000 0.509
# - Energy above the most stable polymorph in this dataset: 8 meV/atom
# - Uncorrected energy: -230.1 eV for the cell shown
# - Mass density: 7.7 Mg/m³
# - Size of the total moment: 0.0 μB/cell


| no. | formation enthalpy at 0 K (eV/f.u.) |
| --- | --- |
| 1 | -27.70 |
| 2 | -27.68 |
| 3 | -41.24 |


[1]
DFT (GGA-PBE) results for crystalline Ba4BiPb3O12 at its relaxed geometry.

ΔE to the lowest computed polymorph: 0 meV per atom
SG: No. 10
DFT total energy: -5.84 eV per atom
- - -
The article goes on

Rats are nocturnal, so yes, they make very loud gnawing noises and also EXTREMELY loud noises from their water bottles. Your rat might be up all night, but that doesn't mean you have to be too. You may also be worried about being disturbed by your new furry friend scurrying around his cage and playing games all night.

What do I need to know before buying a rat?

Like dogs, most pet rats do not bite. However, there are two main reasons rats might bite: 1. … Some will bite strangers if they poke their fingers into the cage or in front of the rat's face.

What is the best bedding for pet rats?

Rats generally enjoy running on an exercise wheel, which keeps them healthy and satisfies their need for physical activity. Don't give yours any old rodent wheel, though. Hamster or mouse wheels are typically too small and are made of bars.

Do pet rats need shots?

**Someone pasted crystal structures at this point:**
Below is a relaxed structure of SrAl22O34, with properties calculated at the GGA-PBE level.

Cell: 9.785 11.303 11.857 Å, 90.00 105.87 90.00°
Sites, in units of the cell vectors:
Sr (0.195, 0.250, 0.020)
Sr (0.805, 0.750, 0.980)
Al (0.000, 0.250, 0.498)
Al (0.000, 0.750, 0.502)
Al (0.050, 0.000, 0.150)
Al (0.050, 0.500, 0.150)
Al (0.097, 0.250, 0.289)
Al (0.098, 0.750, 0.288)
Al (0.150, 0.501, 0.450)
Al (0.150, 0.999, 0.450)
Al (0.155, 0.123, 0.711)
Al (0.155, 0.377, 0.711)
Al (0.157, 0.624, 0.716)
Al (0.157, 0.876, 0.716)
Al (0.345, 0.627, 0.283)
Al (0.345, 0.873, 0.283)
Al (0.347, 0.125, 0.292)
Al (0.347, 0.375, 0.292)
Al (0.349, 0.750, 0.549)
Al (0.351, 0.250, 0.553)
Al (0.404, 0.000, 0.716)
Al (0.404, 0.500, 0.716)
Al (0.448, 0.250, 0.852)
Al (0.452, 0.750, 0.853)
Al (0.500, 0.000, 0.500)
Al (0.500, 0.500, 0.500)
Al (0.548, 0.250, 0.147)
Al (0.552, 0.750, 0.148)
Al (0.596, 0.000, 0.284)
Al (0.596, 0.500, 0.284)
Al (0.649, 0.750, 0.447)
Al (0.651, 0.250, 0.451)
Al (0.653, 0.625, 0.708)
Al (0.653, 0.875, 0.708)
Al (0.655, 0.127, 0.717)
Al (0.655, 0.373, 0.717)
Al (0.843, 0.124, 0.284)
Al (0.843, 0.376, 0.284)
Al (0.845, 0.623, 0.289)
Al (0.845, 0.877, 0.289)
Al (0.850, 0.001, 0.550)
Al (0.850, 0.499, 0.550)
Al (0.902, 0.250, 0.712)
Al (0.903, 0.750, 0.711)
Al (0.950, 0.000, 0.850)
Al (0.950, 0.500, 0.850)
O (0.000, 0.000, 0.000)
O (0.000, 0.500, 0.000)
O (0.044, 0.633, 0.401)
O (0.044, 0.867, 0.401)
O (0.048, 0.132, 0.400)
O (0.048, 0.368, 0.400)
O (0.093, 0.750, 0.783)
O (0.096, 0.001, 0.788)
O (0.096, 0.250, 0.787)
O (0.096, 0.499, 0.788)
O (0.154, 0.626, 0.212)
O (0.154, 0.874, 0.212)
O (0.156, 0.130, 0.204)
O (0.156, 0.370, 0.204)
O (0.189, 0.250, 0.600)
O (0.189, 0.750, 0.599)
O (0.203, 0.501, 0.610)
O (0.203, 0.999, 0.610)
O (0.296, 0.250, 0.391)
O (0.297, 0.750, 0.389)
O (0.309, 0.002, 0.401)
O (0.309, 0.498, 0.401)
O (0.344, 0.124, 0.788)
O (0.344, 0.376, 0.788)
O (0.347, 0.625, 0.791)
O (0.347, 0.875, 0.791)
O (0.398, 0.250, 0.210)
O (0.402, 0.750, 0.207)
O (0.405, 0.002, 0.217)
O (0.405, 0.498, 0.217)
O (0.454, 0.250, 0.000)
O (0.455, 0.619, 0.599)
O (0.455, 0.881, 0.599)
O (0.456, 0.117, 0.600)
O (0.456, 0.383, 0.600)
O (0.544, 0.617, 0.400)
O (0.544, 0.883, 0.400)
O (0.545, 0.119, 0.401)
O (0.545, 0.381, 0.401)
O (0.546, 0.750, 0.000)
O (0.595, 0.502, 0.783)
O (0.595, 0.998, 0.783)
O (0.598, 0.250, 0.793)
O (0.602, 0.750, 0.790)
O (0.653, 0.125, 0.209)
O (0.653, 0.375, 0.209)
O (0.656, 0.624, 0.212)
O (0.656, 0.876, 0.212)
O (0.691, 0.502, 0.599)
O (0.691, 0.998, 0.599)
O (0.703, 0.250, 0.611)
O (0.704, 0.750, 0.609)
O (0.797, 0.001, 0.390)
O (0.797, 0.499, 0.390)
O (0.811, 0.250, 0.401)
O (0.811, 0.750, 0.400)
O (0.844, 0.630, 0.796)
O (0.844, 0.870, 0.796)
O (0.846, 0.126, 0.788)
O (0.846, 0.374, 0.788)
O (0.904, 0.501, 0.212)

Rats should be examined by a veterinarian at least once a year and twice a year as they get older. Rats do not require vaccination.

Do pet rats carry disease?

There are disease concerns with both wild (rats, mice) and pet (rats, mice, hamsters, gerbils, guinea pigs) rodents and rabbits. They can carry many diseases including hantavirus, leptospirosis, lymphocytic choriomeningitis (LCMV), Tularemia and Salmonella.

How do you play with pet rats?

Having rats as pets may seem like a strange concept to many people, but for those who keep rodents, rats tend to be a preferred caged pet. … The domesticated pet rat can be one of the most trustworthy pets that you can own, as long as it has a wonderful lineage and was raised properly.

What can I feed my pet rat?

Pet rats can't live outside. Out of draughts and direct sunlight. … Rats are really sociable and will love to be in the heart of your home. Keep their cage on top of a table or other surface so they're at eye level.

What do rats like to sleep on?

Some rats like to sleep on hammocks or on or under the shelves in their cage. Respiratory disease is common in rats. Selecting the right type of bedding can help to reduce respiratory problems. Wood shavings, sawdust and sand should be avoided.

Do rats hate light?

While rats are comfortable in the light, they will typically avoid it simply due to their nature. There are also certain types of lights that they may make additional effort to avoid, such as flashing lights. That is why so many companies sell light machines designed to deter rats; they have their basis in fact.

Are pet rats noisy?

Generally speaking, pet rats are very quiet. They don't make a lot of noise when playing nor will they squeak, contrary to popular belief. The only times you'll hear your pet rat squeak is when they're in trouble and need your help.